## Listing
/*
Run i
Here is a 2-piece molecular cluster, C5H12N2 overall from the Open Molecules 2025 dataset. Energies are from the ωB97M-V functional and the def2-TZVPD basis.

```
19
C5H12N2 | the Open Molecules 2025 dataset | the ωB97M-V functional and the def2-TZVPD basis
C -1.02682 1.12349 1.30654
C 0.31802 0.25149 -0.75065
C 0.35579 0.55741 0.96347
N 1.43461 1.37719 1.02838
H 1.13782 2.34288 0.86637
H -1.21612 2.04986 0.75962
H -1.06811 1.34534 2.37557
H -1.82533 0.41527 1.07393
H 1.27178 -0.18816 -1.01425
H -0.52835 -0.45740 -0.91292
H 0.13709 1.19459 -1.25506
C 0.60310 -0.80800 1.60392
C -0.59525 -0.93069 -2.66945
N -0.18471 -2.02841 -3.04176
H 0.44855 -2.53789 -2.42169
H -1.27376 -0.28761 -3.23817
H 1.57805 -1.19251 1.30461
H 0.60497 -0.69853 2.69071
H -0.17135 -1.52831 1.33082
```

The value obtained for the lowest unoccupied orbital energy (spin up / spin down) is 0.0151 / -0.0009 Ha. Its net charge is 0. The calculation puts the molar mass at 100.2 g mol⁻¹. Its orbital gap (spin up / spin down) is 9.0 / 7.5 eV.

Atom charges from the Löwdin analysis, given in e for atoms 1 to 5:
1 C -0.0619
2 C -0.0414
3 C -0.7022
4 N 0.1266
5 H 0.0516

Run ii
Here is C5H12N2 as an isolated structure from the Open Molecules 2025 dataset. Energies are from the ωB97M-V functional and the def2-TZVPD basis.

```
19
C5H12N2 | the Open Molecules 2025 dataset | the ωB97M-V functional and the def2-TZVPD basis
C -2.61258 0.69065 1.08908
C -2.83266 -0.16167 -0.03366
C 0.67212 -0.01648 0.08186
C 3.39279 -0.07439 0.31699
C 1.93827 -0.04409 -0.93676
N 3.00682 -1.10572 -0.55303
N -2.36706 -0.18754 -1.31757
H -2.33741 1.68920 0.80069
H -1.85316 -0.24994 0.74238
H -2.82458 0.48084 2.08354
H -3.69733 -0.82834 0.24357
H -0.30074 0.09602 -0.47097
H 0.82343 0.76467 0.83712
H 4.39130 0.38915 0.19025
H 3.19033 -0.08124 1.33066
H 2.21792 0.95325 -1.26144
H 1.49859 -0.46960 -1.82940
H -2.96645 -0.83430 -1.87784
H 0.66039 -1.01048 0.56454
```

The value obtained for the lowest unoccupied orbital energy is -0.0089 Ha. Its net charge is 0. The calculation puts the molar mass at 100.2 g mol⁻¹. Its orbital gap is 7.2 eV.

Atom charges from the Löwdin analysis, given in e for atoms 1 to 5:
1 C 0.0046
2 C -0.4262
3 C -0.1067
4 C -0.0467
5 C -0.3069

Run iii
Here is a 2-piece molecular cluster, C5H12N2 overall from the Open Molecules 2025 dataset. Energies are from the ωB97M-V functional and the def2-TZVPD basis.

```
19
C5H12N2 | the Open Molecules 2025 dataset | the ωB97M-V functional and the def2-TZVPD basis
C -2.77911 0.63307 1.07032
C -1.60727 0.53671 0.17582
C -0.38193 0.85411 0.20106
N 0.44282 1.89705 0.58728
H -3.50527 -0.14275 0.81665
H -3.26662 1.60345 0.92790
H -2.49506 0.54845 2.12355
H 1.15930 1.66094 1.26066
H 0.78825 2.46560 -0.17494
C 0.77008 -1.87975 0.05872
N 0.57649 -0.69727 -0.77793
C 1.81115 -0.18030 -1.35741
H 1.25442 -1.58884 0.99696
H -0.20275 -2.31810 0.27387
H 1.37974 -2.62815 -0.44869
H -0.32210 -0.61085 -1.25894
H 2.46346 0.18322 -0.55558
H 1.56695 0.63474 -2.03646
H 2.34745 -0.97134 -1.88284
```

The value obtained for the lowest unoccupied orbital energy is 0.0295 Ha. Its net charge is 0. The calculation puts the molar mass at 100.2 g mol⁻¹. As for the SMILES: CC#CN.CNC. Its orbital gap is 7.4 eV.

Atom charges from the Löwdin analysis, given in e for atoms 1 to 5:
1 C -0.1547
2 C -0.1306
3 C -0.2470
4 N 0.0702
5 H 0.0459

Run iv
Here is one molecule with the formula C5H12N2 from the Open Molecules 2025 dataset. Energies are from the ωB97M-V functional and the def2-TZVPD basis.

```
19
C5H12N2 | the Open Molecules 2025 dataset | the ωB97M-V functional and the def2-TZVPD basis
C 1.01371 1.25802 1.07235
C 1.65506 0.45837 -0.17260
C 1.07314 -0.87797 -0.44963
C -0.41125 -0.84322 -0.29540
N -0.85481 -1.70587 0.67846
C -1.11172 0.09317 -1.03936
N -2.50131 0.43052 -0.67448
H -0.09228 1.46551 0.67384
H 1.39599 2.42067 1.13838
H 0.98550 0.56213 1.92771
H 2.76963 0.57650 0.06533
H 1.51522 1.05231 -1.05004
H 1.28655 -1.21299 -1.42031
*/

## Wanted
Restate the lines further above from the one with "0.05872" to the one with "0.0459" unchanged.

## Response
C 0.77008 -1.87975 0.05872
N 0.57649 -0.69727 -0.77793
C 1.81115 -0.18030 -1.35741
H 1.25442 -1.58884 0.99696
H -0.20275 -2.31810 0.27387
H 1.37974 -2.62815 -0.44869
H -0.32210 -0.61085 -1.25894
H 2.46346 0.18322 -0.55558
H 1.56695 0.63474 -2.03646
H 2.34745 -0.97134 -1.88284
```

The value obtained for the lowest unoccupied orbital energy is 0.0295 Ha. Its net charge is 0. The calculation puts the molar mass at 100.2 g mol⁻¹. As for the SMILES: CC#CN.CNC. Its orbital gap is 7.4 eV.

Atom charges from the Löwdin analysis, given in e for atoms 1 to 5:
1 C -0.1547
2 C -0.1306
3 C -0.2470
4 N 0.0702
5 H 0.0459